Tuesday, July 26, 2016

Miner Instabilities: For fun and Profit!!!!

It's been some time since I've done a Strat guide, and I kinda chuckle when I look at the old Breaking The Planet guide from years ago, as the meta has changed so much and there is so much new gear now. In light of that, I will also treat this as a "living document" and make changes as they arise.  Now to the point!
Miner Instabilities is a 5-Person cross faction queue introduced a week after the release of Star Trek Online: Agents Of Yesterday. It takes place on a 23rd Century map on the Cestus mining colony. It is a fun map and I truly believe that it hits the right balance of fun and difficulty...at times. On normal, if you just go guns-blazing or lone wolf, you will find it challenging and dare I say, annoying. But if you follow the following guide, you find it easily manageable. Trust me when I say that by following this walkthrough./strategy guide, you will save yourself MUCH time and frustration.


There are 2 areas where 23c Romulans will appear and 3 places where they will enter the map: South, Center and West. (just think of "West" as "top"). The NPC contact will announce where they Romulans are spawning and you will need to run to that point to kill them all and protect the miners in your colony. A few things to note here:

GOAL: Protect the miners from Romulans. They have low HP and will die quickly. Many groups of Romulans will ignore you to follow their pathing AI and combat scripts to kill the miners. The amount of miners that survive relate to your final score, albeit in a small amount. Keep them alive! That said, I believe that once they die, even if you res them, they will still count as dead in the final score (kind of like in Mine Trap with the colonists...). However, I'd rather have the Romulans concentrate on a rezzed miner than a new one, so res them as much as you can.

THE ENEMY: These are scaled up 23c Romulans, with all ranks Uhlan to Sub Commander. What they lack in HP, Cryptic has decided to make up for in sheer volume. You can take them down easy enough, but they attack en-masse with plasma weaponry and grenades. If you are low on Kinetic Damage resist, you will take a beating. Be prepared, and ALWAYS be on the move to avoid those dangers, as even a maxed-out level 60 can still be crushed by 6-6 photon grenades hitting you.


Goal: Rescue the Gorn Engineer mobs from their Romulan assailants.  Follow the path along either the South or "West" to the various groups. Be careful for the hot gas springs! They will throw you around like a baseball!
THE ENEMY: More small groups of 5 or so Romulans. quickly wipe them out so you can rescue as many Gorn bullet sponges as possible. The amount saved also effects your final score, albe it minimally.
As far as strategy is concerned, I would strongly suggest splitting up into two teams, with the better geared players being a 2-person team going South and the 3-person team going "west" (top). You will eventually meet in the middle. This enables you to save more Gorn and thus, increase the mark payout.

Misplaced data records >
┌──
--- i ---
# DyTlCl4 | the Alexandria database | PBE-GGA | optimized geometry
data_DyTlCl4
_chemical_formula_sum 'Dy2 Tl2 Cl8'
_space_group_name_H-M_alt 'P 1 21/c 1'
_space_group_IT_number 14
_cell_length_a 7.9140
_cell_length_b 6.8972
_cell_length_c 7.3187
_cell_angle_alpha 90.00
_cell_angle_beta 99.95
_cell_angle_gamma 90.00
loop_
_space_group_symop_operation_xyz
'x,y,z'
'-x,-y,-z'
'-x,y+1/2,-z+1/2'
'x,-y+1/2,z+1/2'
loop_
_atom_site_label
_atom_site_fract_x
_atom_site_fract_y
_atom_site_fract_z
_atom_site_occupancy
Dy1 0.0000 0.0000 0.0000 1
Tl1 0.5000 0.0000 0.5000 1
Cl1 0.0992 0.1855 0.7116 1
Cl2 0.3121 0.6231 0.5981 1
# Fermi-level density of states ... 0.000 states/eV/atom

***

--- ii ---
# DyTlCl4 | the Alexandria database | PBE-GGA | optimized geometry
data_DyTlCl4
_chemical_formula_sum 'Dy4 Tl4 Cl16'
_space_group_name_H-M_alt 'C 1 2/c 1'
_space_group_IT_number 15
_cell_length_a 8.4601
_cell_length_b 17.3465
_cell_length_c 6.8372
_cell_angle_alpha 90.00
_cell_angle_beta 114.10
_cell_angle_gamma 90.00
loop_
_space_group_symop_operation_xyz
'x,y,z'
'-x,-y,-z'
'-x,y,-z+1/2'
'x,-y,z+1/2'
'x+1/2,y+1/2,z'
'-x+1/2,-y+1/2,-z'
'-x+1/2,y+1/2,-z+1/2'
'x+1/2,-y+1/2,z+1/2'
loop_
_atom_site_label
_atom_site_fract_x
_atom_site_fract_y
_atom_site_fract_z
_atom_site_occupancy
Dy1 0.0000 0.0675 0.2500 1
Tl1 0.0000 0.3179 0.2500 1
Cl1 0.1866 0.0471 0.6689 1
Cl2 0.2178 0.1712 0.2466 1
# Fermi-level density of states ... 0.000 states/eV/atom

***

Most stable to least stable, the ends of the list are ii and i.

***

--- i ---
# DyTl2Cl5 | the Alexandria database | PBE-GGA | optimized geometry
data_DyTl2Cl5
_chemical_formula_sum 'Dy4 Tl8 Cl20'
_space_group_name_H-M_alt 'P n m a'
_space_group_IT_number 62
_cell_length_a 13.0580
_cell_length_b 8.6208
_cell_length_c 8.2889
_cell_angle_alpha 90.00
_cell_angle_beta 90.00
_cell_angle_gamma 90.00
loop_
_space_group_symop_operation_xyz
'x,y,z'
'-x,-y,-z'
'-x+1/2,-y,z+1/2'
'x+1/2,y,-z+1/2'
'x+1/2,-y+1/2,-z+1/2'
'-x+1/2,y+1/2,z+1/2'
'-x,y+1/2,-z'
'x,-y+1/2,z'
loop_
_atom_site_label
_atom_site_fract_x
_atom_site_fract_y
_atom_site_fract_z
_atom_site_occupancy
Dy1 0.0048 0.2500 0.0716 1
Tl1 0.1700 0.0072 0.5677 1
Cl1 0.0105 0.2500 0.4019 1
Cl2 0.0646 0.5456 0.1624 1
Cl3 0.1805 0.2500 0.9043 1
Cl4 0.1948 0.7500 0.8529 1
# Fermi-level density of states ... 0.000 states/eV/atom

***

--- ii ---
# DyTl2Cl5 | the Alexandria database | PBE-GGA | optimized geometry
data_DyTl2Cl5
_chemical_formula_sum 'Dy2 Tl4 Cl10'
_space_group_name_H-M_alt 'C 1 m 1'
_space_group_IT_number 8
_cell_length_a 13.7578
_cell_length_b 7.7350
_cell_length_c 7.7222
_cell_angle_alpha 90.00
_cell_angle_beta 123.36
_cell_angle_gamma 90.00
loop_
_space_group_symop_operation_xyz
'x,y,z'
'x,-y,z'
'x+1/2,y+1/2,z'
'x+1/2,-y+1/2,z'
loop_
_atom_site_label
_atom_site_fract_x
_atom_site_fract_y
_atom_site_fract_z
_atom_site_occupancy
Dy1 0.0000 0.0000 0.0000 1
Tl1 0.1908 0.5000 0.2381 1
Tl2 0.1946 0.0000 0.6945 1
Cl1 0.0408 0.2280 0.2831 1
└──

Finally, you will meet up at the out gates of the central mining camp. On both sides, the ramparts are guarded with Romulans with various types of distance rifles: Take them out ASAP and offer cover for the Gorn as they start to attack the door. IF you have engineers, now would be a good time to set up mortars by the gate. Go ahead and fire off your Tachyon Concussion T5 to rouse the Romulans sitting behind barriers on the other side and to kill them prematurely if possible.
When the first OUTER gate has been smashed through, and if you haven't killed a bunch already, where will be a shitton Romulans waiting behind chicanes and barriers...it will be a slug fest, so do your best: AoE weapons particularly shine here, and switching to a close range weapon like a Pulsewave cannot be encouraged more. There will be a second set of doors much like the first. Wash, rinse and repeat.
After this, hopefully both sides have made it into the main complex pretty quick If not, you can always open the gate from the inside with an illuminated control panel.Wipe out all resistance. You will need to "clear the map of Romulans" as an objective. Which takes us to the MOST important and difficult part:


Goal: Keep the Gorn alive long enough as he casually saunters and sleepwalks his way to various waypoints doing....Gorny science stuff repairing the drills...because reasons. Here is where the Nak'Hul will start to spawn in droves.
THE ENEMY: Na'Kuhl. A seriously annoying, pain-in-the-ass enemy that has a crappy gimmick called "Time Slip" that makes them temporarily invulnerable to ALL damage while their dopplegangers are alive.  This version lasts longer than the player version from the Na'Kuhl armor set, so be aware. You need to kill the doppelgangers before the caster becomes vulnerable again. Also, they throw metric asstons of AoE and DoT weapons that will bypass shields.
Because of this reason, this is the best and most painless strategy I can offer:
Your team should fall back to one of the inner gates, preferably the one from the "West" as it gives you better line-of-site and is easily defensible. Another reason that I've noticed is that you're not exposed to as many spawn points by the "West" wall as you are on the more Southern wall, so there's a smaller chance of getting ganked by the idiots. Anyhow, STICK TOGETHER and create a kill-zone to gang-rape the Na'Kuhl as they come to you piecemeal.

Attached: materials data >
<<<
# Sr3Ac3NiO8 | Alexandria via LeMat-Bulk | PBE+U | optimized geometry
# Calculated total energy = -6.49 eV per atom
data_Sr3Ac3NiO8
_chemical_formula_sum 'Sr6 Ac6 Ni2 O16'
_cell_length_a 12.752
_cell_length_b 7.258
_cell_length_c 7.259
_cell_angle_alpha 90.00
_cell_angle_beta 124.40
_cell_angle_gamma 90.00
_symmetry_space_group_name_H-M 'C 1 2/m 1'
_symmetry_Int_Tables_number 12
loop_
_symmetry_equiv_pos_as_xyz
'x,y,z'
'-x,-y,-z'
'-x,y,-z'
'x,-y,z'
'x+1/2,y+1/2,z'
'-x+1/2,-y+1/2,-z'
'-x+1/2,y+1/2,-z'
'x+1/2,-y+1/2,z'
loop_
_atom_site_label
_atom_site_fract_x
_atom_site_fract_y
_atom_site_fract_z
Sr1 0.000 0.000 0.000
Sr2 0.250 0.250 0.500
Ac1 0.000 0.500 0.500
Ac2 0.250 0.250 0.000
Ni1 0.000 0.000 0.500
O1 0.007 0.232 0.730
O2 0.238 0.500 0.226
O3 0.249 0.500 0.747
>>>
The page goes on >

"But what about the Gorn?" you say? Well here's the trick: THE GORN WILL BE IGNORED BY THE NA'KUHL. PERIOD. I know - its funny, but its true and a sad display of the limitations of the game engine or coding (take your pic). So if you literally do nothing, the Gorn dude will go about doing his business and actually has LESS of a chance to get stuck in his pathing due to all the AoEs and DoTs flying around (this has been an issue of late with this map)
So - again - fall back to inner wall and create a kill zone with supporting fire - this way also makes it easier to target doppelgangers first as you're not busy dodging Na'Kuhl that are spawning all about you as there isn't a concentration of their spawn points there. Most importantly, it also forces them to fall into a funnel of fire and better protects your deployables. After the Gorn is done repairing the drills, you will have to leave and do mop-up, but that's relatively easy at this point. Get your marks, and call it a day. be sure to do a dance emote at the end, as is custom with 8-Ball Company!!! :)

Entry from Alexandria via LeMat-Bulk: a relaxed Tl3SiRh crystal (PBE-GGA).

Properties
**Uncorrected formation energy**: 0.522 eV/atom
**Crystal system**: cubic
**SG**: Pm-3m
**Fermi-level density of states**: 4.22 states/eV/f.u.
**Calculated volume**: 28.6 Å³/atom
**Mass density**: 8.651 g/cm³
**VASP energy**: -3.4529 eV per atom

The structure in POSCAR format:
```
Tl3SiRh
1.0
5.2274 0.0000 0.0000
0.0000 5.2274 0.0000
0.0000 0.0000 5.2274
Si Tl Rh
1 3 1
Direct
0.5000 0.5000 0.5000
0.5000 0.0000 0.0000
0.0000 0.5000 0.0000
0.0000 0.0000 0.5000
0.0000 0.0000 0.0000
```

---

Entry from Alexandria via LeMat-Bulk: a relaxed SrZrW2 crystal (PBE-GGA).

Properties
**Crystal system**: tetragonal
**SG**: P4mm
**Fermi-level density of states**: 5.19 states/eV/f.u.
**Calculated volume**: 23.5 Å³/atom
**Mass density**: 9.660 g/cm³
**VASP energy**: -8.5154 eV per atom

The structure in POSCAR format:
```
SrZrW2
1.0
-2.1783 0.0172 -2.4490
-1.8232 -2.1997 1.6062
-4.3629 6.4831 3.9264
W Sr Zr
2 1 1
Direct
0.0000 0.0000 0.0684
0.5000 0.5000 0.2208
0.5000 0.5000 0.7884
0.0000 0.0000 0.4224
```

---

Entry from Alexandria via LeMat-Bulk: a relaxed La2Zn2CuNi5 crystal (PBE-GGA).

Properties
**Crystal system**: tetragonal
**SG**: P4/mbm
**Fermi-level density of states**: 5.46 states/eV/f.u.
**Calculated volume**: 16.2 Å³/atom
**Mass density**: 7.871 g/cm³
**VASP energy**: -4.6295 eV per atom

The structure in POSCAR format:
```
La2Zn2CuNi5
1.0
-2.0839 -2.4918 1.4986
6.9677 -2.1656 6.0882
-3.3334 6.4654 6.1148
Ni Zn La Cu
10 4 4 2
Direct
0.5000 0.4466 0.3031
0.5000 0.8031 0.9466
0.5000 0.0534 0.8031
0.5000 0.1969 0.0534
0.5000 0.5534 0.6969
0.5000 0.5000 0.0000
0.5000 0.3031 0.5534
0.5000 0.9466 0.1969
0.5000 0.0000 0.5000
0.5000 0.6969 0.4466
0.0000 0.8838 0.3838
0.0000 0.6162 0.8838
0.0000 0.1162 0.6162
0.0000 0.3838 0.1162
0.0000 0.6818 0.1818
0.0000 0.1818 0.3182
0.0000 0.8182 0.6818
0.0000 0.3182 0.8182
0.0000 0.0000 0.0000
0.0000 0.5000 0.5000
```

---

Entry from Alexandria via LeMat-Bulk: a relaxed SrAs3F crystal (PBE-GGA).

Properties
**Uncorrected formation energy**: 0.896 eV/atom
**Crystal system**: cubic
**SG**: Pm-3m
**Fermi-level density of states**: 7.14 states/eV/f.u.
**Calculated volume**: 37.7 Å³/atom
**Mass density**: 2.921 g/cm³
**VASP energy**: -2.6043 eV per atom

The structure in POSCAR format:
```
SrAs3F
1.0
5.7327 0.0000 0.0000
0.0000 5.7327 0.0000
0.0000 0.0000 5.7327
F As Sr
1 3 1
Direct
0.5000 0.5000 0.5000
0.0000 0.0000 0.5000
0.0000 0.5000 0.0000
0.5000 0.0000 0.0000
0.0000 0.0000 0.0000
```

---

> The lowest calculated volume belongs to which entry?

La2Zn2CuNi5

---

> The highest Fermi-level density of states belongs to which entry?

SrAs3F

---

> Which value of mass density does entry 3 give?

7.871 g/cm³

---

Copy entry 4 word for word.
Entry from Alexandria via LeMat-Bulk: a relaxed SrAs3F crystal (PBE-GGA).

Properties
**Uncorrected formation energy**: 0.896 eV/atom
**Crystal system**: cubic
**SG**: Pm-3m
== Back to the text ==

As with any guide, there is always many ways to achieve the same goal, and I'm sure some great players will find other ways to improve this. I always appreciate feedback and would ask that you give credit to me/us if you link this or copy it. Also come say "Hi!" to any of the 8-Ball Company members in-game! We're a friendly bunch of yahoos that like to joke and Pew Pew. Thanks!